Monday, September 22, 2008

Heres the thing

The ear doctor loves Halloween. It's probably one of his top 3 favorite holidays. He thinks of a costume months and months in advance and we usually spend about 3 weeks sewing his masterpiece together. I really wish I had the photo of him as a garden gnome to was pure art.

## Attached: materials data
____________
A plane-wave DFT calculation with PBE with a Hubbard U was carried out for crystalline Na4Fe2C4SO16 at its relaxed geometry.

a b c (Å): 9.9607 9.9319 9.7304
angles (deg): 60.86 60.57 58.57
Atoms (fractional coordinates):
Na: 0.7086 0.2914 0.7086
O: 0.4857 0.9879 0.2172
O: 0.9767 0.3213 0.2210
O: 0.9409 0.0328 0.2621
Fe: 0.1250 0.1250 0.1250
S: 0.5000 0.5000 0.5000
S: 0.7500 0.7500 0.7500
Fe: 0.6250 0.1250 0.1250
O: 0.5586 0.5590 0.5684
O: 0.3091 0.2172 0.9879
Na: 0.9590 0.5410 0.5410
O: 0.2733 0.9287 0.0290
C: 0.9160 0.9131 0.9029
O: 0.2351 0.9775 0.3060
C: 0.9820 0.3471 0.3369
Fe: 0.1250 0.6250 0.1250
O: 0.2725 0.0149 0.7686
Na: 0.2910 0.7090 0.7090
O: 0.3213 0.9767 0.4810
O: 0.3140 0.5684 0.5590
Fe: 0.1250 0.1250 0.6250
O: 0.0149 0.2725 0.9440
O: 0.0328 0.9409 0.7643
Na: 0.7090 0.2910 0.2910
O: 0.9775 0.2351 0.4814
O: 0.6914 0.6910 0.6816
C: 0.3369 0.3340 0.9820
O: 0.9287 0.2733 0.7690
C: 0.3471 0.9820 0.3340
O: 0.2172 0.3091 0.4857
C: 0.2680 0.9029 0.9131
O: 0.6910 0.6914 0.9360
Na: 0.5414 0.9586 0.5414
C: 0.3340 0.3369 0.3471
O: 0.0290 0.7690 0.2733
O: 0.7686 0.9440 0.2725
O: 0.6816 0.9360 0.6914
C: 0.9029 0.2680 0.9160
O: 0.9360 0.6816 0.6910
O: 0.7690 0.0290 0.9287
O: 0.2210 0.4810 0.9767
Na: 0.9586 0.5414 0.9586
O: 0.5684 0.3140 0.5586
O: 0.9879 0.4857 0.3091
O: 0.2621 0.7643 0.9409
O: 0.4814 0.3060 0.9775
Na: 0.2914 0.7086 0.2914
C: 0.9131 0.9160 0.2680
O: 0.9440 0.7686 0.0149
Na: 0.5410 0.9590 0.9590
O: 0.7643 0.2621 0.0328
O: 0.5590 0.5586 0.3140
O: 0.4810 0.2210 0.3213
O: 0.3060 0.4814 0.2351

Calculated values
Energy of formation from the pure elements = -1.931 eV per atom
Spin magnetization = 19.99 Bohr magnetons per cell
Energy above the lowest structure with this stoichiometry = 0 meV per atom

---

A plane-wave DFT calculation with PBE with a Hubbard U was carried out for crystalline MnCr2Ni3P6O24 at its relaxed geometry.

a b c (Å): 8.3581 8.3581 8.3581
angles (deg): 61.87 61.87 61.87
Atoms (fractional coordinates):
O: 0.1031 0.3295 0.5060
O: 0.3295 0.5060 0.1031
O: 0.5609 0.7481 0.3981
Cr: 0.4996 0.4996 0.4996
P: 0.9539 0.2512 0.5438
P: 0.0493 0.7496 0.4535
O: 0.6070 0.0126 0.8219
O: 0.2549 0.6020 0.4317
O: 0.3981 0.5609 0.7481
P: 0.2512 0.5438 0.9539
Ni: 0.6419 0.6419 0.6419
P: 0.4535 0.0493 0.7496
O: 0.9978 0.1788 0.3835
O: 0.6020 0.4317 0.2549
O: 0.7450 0.9464 0.0925
O: 0.7481 0.3981 0.5609
O: 0.1788 0.3835 0.9978
Mn: 0.1425 0.1425 0.1425
Cr: 0.9983 0.9983 0.9983
Ni: 0.3581 0.3581 0.3581
P: 0.7496 0.4535 0.0493
O: 0.5060 0.1031 0.3295
O: 0.9119 0.2466 0.0617
O: 0.8959 0.6811 0.4845
O: 0.6811 0.4845 0.8959
O: 0.3835 0.9978 0.1788
P: 0.5438 0.9539 0.2512
O: 0.0617 0.9119 0.2466
O: 0.2466 0.0617 0.9119
O: 0.4317 0.2549 0.6020
O: 0.0925 0.7450 0.9464
O: 0.8219 0.6070 0.0126
O: 0.9464 0.0925 0.7450
O: 0.4845 0.8959 0.6811
O: 0.0126 0.8219 0.6070
Ni: 0.8569 0.8569 0.8569

Calculated values
Energy of formation from the pure elements = -2.194 eV per atom
Spin magnetization = 17.09 Bohr magnetons per cell

---
____________

This year we haven't been invited to any Halloween parties. My bff whose birthday is Halloween moved to Baltimore (curses) so now it looks like we may not have any real plans for the big night. This was a bit of a relief for me. I thought maybe we could just get some scary (ish) movies and stay up late together getting freaked out.

However, the past couple of weeks the ear doctor has started trying to talk me into going TRICK-OR-TREATING with him. Um, we don't have any kids or anything. He thinks it is totally legit for two adults almost 30 years old to dress up and beg for candy. He keeps insisting that it would be hilarious to see the looks on people's faces when they open the door and there we are, bags extended. Our dignity for the bargain basement price of a stale, rock hard tootsie roll and partially opened smarties.

I just can't bring myself to catch his vision for the evening.

What do you think? Strange or kind of funny?

WHOA, lots of you are very passionate about this one. What if instead of just showing up and asking for a treat we provide a trick as well? I could play my fiddle and the ear doctor could make our dog dance on his back legs? Would that be funnier/prevent hostility?


  1. ummm truthfully if two 30 year olds came to my door wanting candy they'd get a swift kick in the pants....:) we had someone come by last year who was taking their DOG trick-or-treating...what the??!! If you lived here I'd be more than willing to let you borrow my kids and take them around :) We totally score with candy from their cute little faces and costumes :)

  2. Weird, and I probably wouldn't give you any candy either. "Sorry, but the candy is for the kids." THat's what I'd say.

  3. Definitely strange and not cool. I'd stick with renting the scary movies. I wouldn't give you candy either. Sorry man.

  4. Anonymous1:44 PM

    Yeah, apologies for the somewhat brutal honesty, but 2 adults in costumes trick-or-treating? Not even a little bit funny (and I'd likely send you away and give you dirty looks).

    UNLESS (see there's potential here!!!), you only go to your friends' houses (bonus points if you don't tell them ahead of time). Because if I came to my door expecting little kids and saw two good (adult) friends of mine fully dressed up? I would CRACK UP. So I would say that's a possibility. But otherwise? ummm... no, sorry ear doctor!!

  5. No. Lame, weird, annoying, preposterous. I reserve a "special" type of candy for too-old trick or treaters.

  6. Anonymous2:13 PM

    If he really insists on going tt...maybe you could offer to take some of the kids from church? I am sure there is at least 1 mom out there who would be greatful if you took her kids out. Or from you girl's group? Or maybe you could have your own halloween party??


  7. Anonymous2:14 PM

    Oh I forgot to could see if your local food bank is participating in the trick or eat program (where people go door to door asking for canned goods etc for the food bank)..


  8. Sorry ED, that is not legit.

  9. Have to go with the crowd here - I am deeply and vehemently against people over the age of fourteen trick or treating. period.

  10. Yeah... I have to agree - it's weird. but I agree with Lindsey about showing up at your friends' houses.

    My first suggestion was going to be - host your own party. Maybe you can even do something with your ward.

    I like anonymous' idea of offering to take kiddos from your ward out - particularly for those mommies who have new babies AND kids of Trick or Treat age.

    But I do like the idea of the two of you dressing up - knocking on random doors saying "Trick or Treat" - then one of you holds up a little sign that says "You really ought to choose TRICK" and then have them choose between dog tricks or your fiddle.
    I would love to see you at my door with your fiddle! And I'd want to see ED dance foolishly while you play!!!

  11. We made the mistake of going trick or treating when I was in high school, and people were so rude. They were not amused with a group of 16 year olds, I can imagine what people would say to a couple of adults. What about dressing up to give out candy? Do you get trick or treaters at your house? Or maybe you can find some friends who need help with their kids on Halloween?

  12. Anonymous9:09 PM

    If you get alot of trick-or-treaters in your apartment complex - dressing up to GIVE treats would probably earn you some props for a "fun house". There was a guy in Aberdeen who sat, dressed as a scarecrow, on his front porch & scared the bejeebers out of kids who didn't know he was alive.......PS Romy has a costume & LOVES to help us give out treats.

  13. :( Awww, geez, people!! Dont be so harsh! I think theres a big difference between clearly mature adults dressing up to have some fun and sketchy teeneagers out to terrorize the neighborhood and little kids.

    Halloween is a huge holiday in the restaurant business and falls just after New Years Eve in terms of business! Adults love having the chance to dress up and you see a lot of time and effort put into costumes. I realize you dont drink, but are there any places offering adult, non-alcoholic parties in your area? Maybe you could try to organize one, if not! There have to be others who would love an adult party without alcohol.

    I second the suggestion of taking the children of friends or family trick or treating...Im sure they would love it!

    Or what about if you went trick or treating, but GAVE candy instead of asking for it at houses? Surely people couldnt object to that kind of suprise!

  14. I got alot of dirty looks when I was in high school so that probably wouldn't go over to well.

  15. I say just go to your friends houses. If one of our friends came to our house all dressed up I would have a good laugh with them.
